Contents:
........
Record 1
ORCA calculation (ωB97M-V/def2-TZVPD) on a structure of composition C17H39OP3SYb in a non-equilibrium geometry.

relative energy (zero: lowest compared OMol25 entry of this formula, charge and spin): 0.0 kJ/mol
charge: +3
gap between HOMO and LUMO (alpha / beta): 7.6 / 4.6 eV
HOMO energy (alpha / beta): -16.23 / -16.23 eV
<S²>: 0.771
lowest unoccupied orbital energy (alpha / beta): -0.3169 / -0.4277 Ha
multiplicity: 2

Atoms and positions in Å:
Yb 1.467 0.592 1.067
P 1.153 3.231 1.347
P 0.328 -0.196 3.287
P -0.966 0.597 -0.014
H 2.781 -1.248 -0.233
C 2.043 -0.719 -0.873
C 2.264 0.579 -1.259
H 3.200 1.109 -0.997
C 2.692 4.105 1.807
C -0.052 3.933 2.537
C 0.726 4.033 -0.248
C 0.286 -2.009 3.263
C 1.298 0.271 4.739
C -1.353 0.348 3.683
C -0.970 0.788 -1.832
C -2.296 1.727 0.505
C -1.673 -1.084 0.197
H 1.086 -1.248 -1.009
H 1.515 1.203 -1.764
H 3.528 3.806 1.131
H 2.971 3.880 2.862
H 2.494 5.197 1.691
H 0.226 3.594 3.564
H -1.077 3.560 2.308
H -0.002 5.044 2.457
H 1.501 3.757 -0.999
H 0.722 5.132 -0.073
H -0.264 3.682 -0.622
H -0.126 -2.281 4.262
H 1.320 -2.400 3.119
H -0.362 -2.370 2.429
H 0.732 -0.199 5.576
H 1.315 1.383 4.839
H 2.336 -0.125 4.665
H -1.532 -0.130 4.669
H -2.077 0.002 2.913
H -1.368 1.460 3.746
H -2.016 0.619 -2.177
H -0.278 0.055 -2.295
H -0.624 1.812 -2.094
H -3.215 1.380 -0.016
H -2.036 2.769 0.210
H -2.428 1.690 1.607
H -2.582 -1.144 -0.437
H -1.918 -1.294 1.261
H -0.936 -1.843 -0.144
C -1.827 -3.603 -4.305
C -2.110 -4.979 -4.235
C -1.563 -5.851 -5.179
C -0.736 -5.362 -6.197
C -0.456 -3.993 -6.272
C -1.000 -3.114 -5.333
S -2.464 -2.467 -3.148
H -3.172 -3.338 -2.373
H -2.758 -5.335 -3.431
H -1.784 -6.919 -5.116
H -0.313 -6.044 -6.929
H 0.186 -3.597 -7.061
H -0.796 -2.042 -5.373
O 3.587 0.791 2.080
H 3.377 1.419 2.817
H 3.997 1.385 1.401



Record 2
ORCA calculation (ωB97M-V/def2-TZVPD) on a structure of composition C17H40BBeBr3ClCsF5IN4O10PRb in a non-equilibrium geometry.

charge: -2
gap between HOMO and LUMO: 1.1 eV
HOMO energy: -1.68 eV
lowest unoccupied orbital energy: -0.0223 Ha

Atoms and positions in Å:
C 5.668 -4.222 4.123
C 5.232 -2.808 3.686
N 3.789 -2.706 3.469
C 3.457 -2.737 2.080
O 3.944 -3.912 1.540
C 4.516 -3.823 0.231
C 6.030 -3.872 0.219
O 2.033 -2.673 2.049
C 1.480 -2.361 0.868
Cl 1.024 -3.910 0.031
C 0.237 -1.396 1.024
O -0.393 -1.099 -0.271
N -0.681 -1.783 2.015
C -1.679 -2.786 1.619
C -3.125 -2.294 1.807
C -3.821 -2.943 3.018
I -3.629 -1.655 4.727
P 0.952 0.289 1.626
O 1.877 0.158 2.720
O -0.284 1.332 2.122
O 1.659 1.060 0.243
H 4.755 -4.795 4.272
H 6.218 -4.198 5.061
H 6.233 -4.748 3.357
H 5.797 -2.518 2.795
H 5.538 -2.116 4.467
H 3.468 -1.816 3.851
H 3.916 -1.861 1.583
H 4.217 -2.913 -0.305
H 4.125 -4.664 -0.340
H 6.329 -3.897 -0.830
H 6.425 -4.760 0.702
H 6.469 -2.964 0.634
H 2.248 -1.844 0.227
H 0.069 -1.627 -0.974
H -1.141 -0.992 2.445
H -1.569 -3.624 2.311
H -1.533 -3.196 0.628
H -3.172 -1.215 1.918
H -3.740 -2.552 0.944
H -3.425 -3.931 3.222
H -4.877 -3.069 2.801
H 0.087 2.224 2.196
H 2.485 0.573 0.044
Rb 0.442 3.133 0.185
F 3.921 2.103 -1.544
Cs 1.017 -0.232 -2.098
C 4.203 2.400 -6.916
C 2.911 1.604 -7.208
O 2.191 1.374 -6.089
H 4.852 1.852 -6.230
H 4.769 2.574 -7.844
H 3.972 3.374 -6.480
H 3.261 0.697 -7.763
H 2.396 2.192 -8.010
Be 4.198 2.795 -3.487
B 8.202 -6.806 -1.118
F 8.969 -5.635 -0.958
F 7.431 -6.703 -2.293
F 9.056 -7.922 -1.208
F 7.343 -6.958 -0.006
Br 1.593 -0.328 5.290
Br -3.865 3.754 1.159
C -5.205 2.543 1.883
C -4.749 1.114 1.807
Br -4.895 0.435 -0.014
H -6.122 2.725 1.332
H -5.339 2.850 2.918
H -5.388 0.473 2.410
H -3.716 0.983 2.116
C -5.173 7.066 -0.836
O -4.466 7.345 0.122
N -5.532 5.792 -1.147
N -5.666 8.023 -1.685
H -6.114 5.555 -1.935
H -5.192 5.059 -0.549
H -5.424 8.976 -1.492
H -6.246 7.813 -2.475
O -7.870 4.938 -3.147
C -9.112 5.112 -3.185
C -9.606 6.055 -1.742
O -10.845 6.198 -1.801
H -9.755 4.213 -3.151
H -9.523 5.691 -4.034
H -8.962 6.954 -1.819
H -9.177 5.458 -0.914



> Which value of charge does entry 1 give?

+3

----------
........
To do:
Count the lines earlier on that contain the word "this" and give the number alone.
Outcome:
1